Could you say how many lines of the calculation results further down hold the word "non-equilibrium", as a bare number?
____________
1.
ORCA calculation (ωB97M-V/def2-TZVPD) on C27H67F4Mn2NO11P2 as an isolated structure in a non-equilibrium geometry.

Geometry as XYZ:
```
114
Properties=species:S:1:pos:R:3:forces:R:3
Mn -15.653 -7.612 7.425 -0.768 -2.018 -0.366
Mn -12.406 -10.184 3.954 -1.678 0.139 -0.440
O -14.107 -8.931 3.779 0.217 0.264 -0.043
P -15.325 -8.145 4.059 1.110 -0.584 0.404
O -15.705 -7.936 5.481 -0.406 0.808 -0.079
F -16.501 -8.818 3.328 -0.072 0.598 0.117
F -15.162 -6.748 3.419 -0.774 -0.487 -0.111
O -14.816 -9.498 7.473 0.378 0.968 0.355
P -13.907 -10.620 7.117 -0.528 -0.278 -0.010
O -13.167 -10.656 5.832 0.675 0.358 -0.562
F -14.802 -11.873 7.177 0.195 -0.261 0.047
F -12.916 -10.845 8.254 0.180 -0.116 0.286
C -19.110 -8.858 5.990 0.215 0.373 -0.407
C -18.810 -8.149 7.295 -0.275 -0.834 0.457
C -19.834 -8.443 8.373 -0.535 0.220 0.040
O -17.514 -8.693 7.772 0.445 1.128 0.022
H -18.301 -8.653 5.289 -0.037 -0.074 -0.079
H -20.035 -8.520 5.524 -0.047 0.097 0.176
H -19.184 -9.940 6.120 -0.025 0.014 0.179
H -18.632 -7.080 7.176 -0.082 -0.005 -0.217
H -20.850 -8.332 7.990 0.073 -0.001 -0.168
H -19.786 -7.783 9.238 0.336 -0.026 -0.003
H -19.750 -9.477 8.716 0.054 -0.009 -0.033
H -17.628 -9.639 7.923 0.296 -0.015 0.080
C -14.185 -3.388 4.182 1.008 1.065 -0.139
C -14.539 -3.508 2.697 -0.042 -0.554 1.193
C -14.139 -2.291 1.911 -0.260 0.341 -0.181
O -13.891 -4.693 2.206 -0.124 0.199 -0.326
H -14.233 -4.326 4.739 -0.597 0.012 -0.002
H -14.719 -2.552 4.640 -0.343 -0.394 0.236
H -13.136 -3.082 4.280 0.040 -0.119 -0.200
H -15.630 -3.636 2.668 0.003 -0.088 -0.440
H -13.108 -1.990 2.096 0.106 -0.244 -0.162
H -14.755 -1.437 2.200 -0.050 -0.098 0.163
H -14.330 -2.429 0.847 0.243 -0.129 -0.023
H -14.285 -5.415 2.706 0.302 0.351 -0.385
C -19.050 -11.455 1.752 0.287 -0.803 -1.099
C -19.048 -10.179 0.931 -0.160 1.599 1.693
C -19.927 -9.122 1.616 -0.406 0.134 0.047
O -17.720 -9.601 0.896 -0.024 -0.747 -0.181
H -19.086 -11.306 2.832 -0.078 0.279 -0.023
H -18.138 -12.009 1.513 -0.062 -0.058 0.033
H -19.868 -12.108 1.447 -0.137 0.069 0.226
H -19.387 -10.252 -0.100 0.268 -0.494 -0.062
H -19.765 -8.132 1.185 -0.153 -0.128 -0.299
H -19.698 -9.009 2.683 0.229 -0.276 -0.019
H -20.988 -9.375 1.570 0.010 0.033 -0.137
H -17.438 -9.490 1.809 -0.148 0.076 -0.281
C -10.653 -7.136 1.514 0.450 -0.065 1.334
C -12.010 -7.774 1.829 0.391 0.296 -0.674
C -12.953 -7.684 0.652 -0.736 -0.245 -0.152
O -11.800 -9.203 2.162 0.289 -0.414 0.350
H -10.541 -6.269 2.167 -0.090 0.444 -0.604
H -10.455 -6.921 0.469 -0.292 0.210 -0.019
H -9.813 -7.741 1.878 -0.216 -0.331 -0.138
H -12.429 -7.343 2.733 -0.062 -0.080 -0.011
H -13.523 -6.756 0.654 0.316 0.307 -0.017
H -13.721 -8.463 0.655 0.138 -0.096 0.212
H -12.416 -7.767 -0.293 -0.003 0.052 0.010
H -11.177 -9.520 1.495 -0.009 -0.282 0.145
C -15.843 -12.328 3.871 -0.513 -0.008 0.386
C -14.378 -12.641 3.672 -0.371 -0.767 0.018
C -14.089 -13.970 2.998 -0.436 -0.207 -0.314
O -13.717 -11.593 2.910 0.684 0.294 0.649
H -16.340 -13.197 4.309 0.040 -0.127 -0.239
H -16.377 -12.052 2.960 0.169 -0.147 -0.113
H -16.025 -11.543 4.611 0.311 0.210 -0.158
H -13.928 -12.666 4.663 0.364 0.311 -0.168
H -14.329 -14.830 3.624 0.128 0.186 0.287
H -13.038 -14.014 2.718 -0.002 -0.131 -0.005
H -14.711 -14.123 2.111 0.156 0.258 -0.140
H -14.136 -11.472 2.048 -0.010 -0.007 0.023
C -18.802 -5.327 3.324 0.323 0.879 -0.453
C -18.046 -4.644 4.461 -0.870 -0.259 -0.258
C -18.037 -3.134 4.296 0.086 0.421 -0.368
O -18.681 -5.012 5.701 0.640 -0.228 0.250
H -19.755 -4.835 3.107 -0.138 -0.086 0.369
H -18.965 -6.386 3.517 0.096 -0.064 -0.094
H -18.229 -5.158 2.407 -0.177 -0.414 0.277
H -17.032 -5.058 4.449 0.004 0.065 0.462
H -17.182 -2.598 4.708 0.062 -0.328 0.268
H -18.926 -2.709 4.765 -0.064 -0.039 -0.101
H -18.058 -2.867 3.236 -0.082 -0.026 0.012
H -19.617 -4.814 5.587 0.001 0.054 0.106
C -16.178 -5.462 -1.718 0.052 -0.212 -0.411
C -17.499 -5.860 -1.037 0.600 -0.415 -0.138
C -18.500 -4.720 -1.110 0.319 2.039 -0.281
C -19.127 -4.495 -2.489 0.676 -1.073 0.241
____________
1